(Source)
'''
The following is a quantum chemistry calculation of a molecular structure, C62H36I4N10Ti in a non-equilibrium geometry, from the Open Molecules 2025 dataset.

energy relative to the best compared isomer or geometry (same formula, charge and spin) = 0.0 kJ/mol
2S+1 = 2
HOMO-LUMO gap (alpha / beta) = 4.84 / 4.74 eV
charge = +1

The geometry in XYZ format:
```
113
C62H36I4N10Ti, DFT the ωB97M-V functional and the def2-TZVPD basis
C 1.20 3.88 6.44
H -0.46 3.16 5.31
C 1.37 4.16 0.77
C -1.13 -0.97 -4.69
C 1.51 -1.69 3.90
N -1.03 -1.49 0.37
N 0.66 1.98 0.85
C 0.31 -4.47 3.91
I 1.69 -8.58 4.27
C 0.68 2.52 2.12
C -3.75 -4.04 -3.92
C -2.50 0.86 -4.57
C 3.12 0.10 1.05
C 1.41 2.51 4.47
C 4.04 -0.63 1.76
N 4.16 -1.96 1.62
H -0.54 -1.46 -5.44
C 1.21 -6.97 -5.26
I 3.48 5.02 8.11
H 5.54 4.06 -3.04
Ti 0.38 -0.03 0.23
C -3.44 -2.13 -2.47
H 1.10 -4.91 0.66
H 1.89 -2.56 4.39
H 2.40 6.96 -3.26
C 1.15 -6.68 3.53
C 1.14 2.97 0.04
H -0.30 -3.53 -4.20
H 1.68 -7.15 1.52
I -5.72 -4.23 -6.24
H 1.74 5.09 0.38
C 1.30 -6.40 2.19
C 1.55 -5.39 -3.49
C 2.10 -6.45 -2.76
H -2.23 -3.91 -2.42
H -0.32 2.03 -5.40
C -2.77 -3.02 0.12
C 0.32 -3.23 -3.37
H 4.46 3.30 5.72
H -2.09 2.55 -3.31
H 4.01 2.50 -1.89
N 0.56 -0.41 2.24
H 0.84 -7.23 -6.24
C 1.33 -4.07 -2.88
C 0.62 3.18 5.40
C 0.64 -5.72 4.40
H 0.88 5.38 -2.14
H 2.45 -6.30 -1.75
H -6.09 -1.66 -4.52
C 0.82 -1.68 2.64
C -2.17 -1.79 -0.38
C -0.81 -2.61 1.12
N 1.70 -7.97 -4.55
C -1.21 0.80 -2.40
C 2.49 -1.83 -0.09
C 1.02 3.89 2.07
C 0.07 -2.02 -2.75
H -3.71 -3.41 -0.21
C 3.38 3.26 5.64
H 0.49 -5.95 5.44
H 1.07 4.55 2.91
C 2.58 3.92 6.55
N 2.27 -0.48 0.16
C 1.73 -2.39 -1.19
C 0.72 2.00 -2.15
C 2.76 5.99 -2.96
C 2.34 3.83 -1.96
C -1.60 1.62 -3.62
C 0.22 -2.80 2.04
C 2.06 -3.61 -1.79
C 1.40 2.86 -1.35
H -4.84 -0.54 -2.72
C -5.24 -2.15 -4.07
N 0.72 -1.60 -1.65
C 0.97 0.40 3.28
C 0.50 -4.16 2.57
H -0.12 -3.74 4.58
C 0.97 -5.14 1.71
H 3.03 1.17 1.17
I 5.34 6.91 -4.29
H 0.76 -4.89 -5.44
H 1.74 2.38 -4.03
C 2.16 -7.70 -3.34
C -2.51 -1.35 -1.62
C 1.13 -5.67 -4.79
C 3.42 -2.52 0.69
H -3.44 -5.02 -4.26
C 3.66 3.48 -2.20
C 1.54 -0.40 4.32
C -4.54 -1.52 -3.06
C -4.81 -3.38 -4.53
C -0.30 1.95 -4.33
N -1.82 -0.46 -2.46
C 2.80 2.55 4.61
H 1.94 -0.02 5.24
C 4.06 5.60 -3.23
N -0.19 1.06 -1.65
C 0.88 1.78 3.30
H -3.43 1.32 -4.91
C -1.88 -3.56 0.97
H -1.94 -4.49 1.50
C -0.96 -1.16 -3.35
H 4.69 -0.17 2.49
C 4.52 4.35 -2.84
C 1.90 5.10 -2.34
H 3.42 2.04 3.89
C -3.08 -3.42 -2.89
H 2.57 -8.54 -2.81
H 2.90 -4.17 -1.43
C 0.80 2.12 -3.60
H 3.56 -3.59 0.58
H 0.58 4.41 7.15
N -2.17 -0.22 -5.13
```
'''

(Assignment)
Next, echo the part of the listing further above that starts with the line with "0.56 -0.41" and stops after the one with "-4.55".

(Written answer)
N 0.56 -0.41 2.24
H 0.84 -7.23 -6.24
C 1.33 -4.07 -2.88
C 0.62 3.18 5.40
C 0.64 -5.72 4.40
H 0.88 5.38 -2.14
H 2.45 -6.30 -1.75
H -6.09 -1.66 -4.52
C 0.82 -1.68 2.64
C -2.17 -1.79 -0.38
C -0.81 -2.61 1.12
N 1.70 -7.97 -4.55